i'm a total nerd but i feel like joining the club of nerds who are out to tell the world... Kenneth Branagh's "Hamlet" deserves to be on DVD! it's four hours of frigging inTENSE iambic pentameter. i mean, this guy had me pinned to my seat in high school - dagger to his temple questioning the merits of living in suffering over courageous uncertain suicide... who wouldn't want to be able to scene-hop and pause and start the whole thing over again without having to rewind? geeze. check this out:
to be or not to be, that is the question. whether tis nobler in the mind to suffer the slings and arrows of outrageous fortune or to take arms against a sea of troubles and by opposing end them. to die, to sleep. no more. and by a sleep to say we end the heartache and the thousand natural shocks that flesh is heir to. tis a consumation devoutly to be wished. to die, to sleep. to sleep - perchance to dream, aye there's the rub. for in the sleep of death what dreams may come when we have shuffled off this mortal coil must give us pause. there's the respect that makes calamity of so long life.
all by memory. not quite halfway, but that's just one afternoon's work - while at my job, no less! (please don't check it next to the real text as i totally ignored punctuation and probably got some of it wrong...) i think everyone should have some poetry memorized. it does a body good.
the boy is at the theatre watching his Dawn of the Dead DVD on the fancy schmancy digital projector, but as i had seen that three too many times (3 being the number of times i have seen it), i decided to come home and mess around with you. thanks, SG.
to be or not to be, that is the question. whether tis nobler in the mind to suffer the slings and arrows of outrageous fortune or to take arms against a sea of troubles and by opposing end them. to die, to sleep. no more. and by a sleep to say we end the heartache and the thousand natural shocks that flesh is heir to. tis a consumation devoutly to be wished. to die, to sleep. to sleep - perchance to dream, aye there's the rub. for in the sleep of death what dreams may come when we have shuffled off this mortal coil must give us pause. there's the respect that makes calamity of so long life.
all by memory. not quite halfway, but that's just one afternoon's work - while at my job, no less! (please don't check it next to the real text as i totally ignored punctuation and probably got some of it wrong...) i think everyone should have some poetry memorized. it does a body good.
### Data records, kept here for reference
********
Density functional theory data (ωB97M-V with the def2-TZVPD basis set) for one molecule with the formula C16H16N2O4S2 at a distorted geometry.

total charge: 0
E_LUMO: 0.016 hartree
HOMO-LUMO gap: 0.3417 Ha
total energy: -1826.18246 Ha
relative energy (zero: lowest compared OMol25 entry of this formula, charge and spin): 1.253 eV
SMILES: CC(=O)NS(=O)(=O)c1ccc(NC(=O)CSc2ccccc2)cc1
maximum force: 0.0231 Eh/bohr

Element x y z (Å)
C  4.893  -3.455  0.693
C  3.487  -3.113  0.260
O  3.206  -2.595  -0.793
N  2.522  -3.415  1.173
H  2.750  -3.850  2.052
S  0.851  -3.310  0.790
O  0.219  -3.502  2.061
O  0.562  -4.231  -0.260
C  0.664  -1.633  0.247
C  0.652  -0.627  1.192
C  0.497  0.687  0.789
C  0.341  0.975  -0.566
C  0.371  -0.056  -1.508
C  0.535  -1.363  -1.101
H  0.567  -2.182  -1.800
H  0.257  0.174  -2.557
N  0.088  2.264  -1.028
C  -0.250  3.362  -0.289
O  -0.014  3.511  0.886
C  -0.996  4.408  -1.097
H  -1.370  5.186  -0.430
H  -0.356  4.861  -1.854
S  -2.387  3.642  -2.020
C  -2.806  2.315  -0.897
C  -2.982  2.555  0.457
C  -3.198  1.487  1.310
C  -3.258  0.195  0.816
C  -3.125  -0.032  -0.544
C  -2.896  1.027  -1.404
H  -2.778  0.862  -2.464
H  -3.180  -1.036  -0.935
H  -3.411  -0.635  1.488
H  -3.317  1.671  2.367
H  -2.937  3.560  0.846
H  -0.130  2.316  -2.017
H  0.479  1.486  1.512
H  0.747  -0.883  2.235
H  5.594  -3.113  -0.063
H  5.120  -2.979  1.644
H  4.986  -4.532  0.809

---

Density functional theory data (ωB97M-V with the def2-TZVPD basis set) for one molecule with the formula C16H16N2O5S at a distorted geometry.

total charge: 0
E_LUMO: -0.015 hartree
HOMO-LUMO gap: 0.3180 Ha
total energy: -1503.12630 Ha
relative energy (zero: lowest compared OMol25 entry of this formula, charge and spin): 3.808 eV
SMILES: Cc1ccc(S(=O)(=O)CCC(=O)Nc2cccc([N+](=O)[O-])c2)cc1
maximum force: 0.0279 Eh/bohr

Element x y z (Å)
C  -5.888  -1.661  -0.427
C  -4.642  -0.834  -0.479
C  -4.705  0.551  -0.354
C  -3.555  1.317  -0.420
C  -2.338  0.690  -0.612
C  -2.249  -0.681  -0.748
C  -3.405  -1.438  -0.679
H  -3.346  -2.511  -0.781
H  -1.283  -1.134  -0.896
S  -0.865  1.700  -0.662
O  -1.153  2.931  -1.347
O  0.254  0.921  -1.124
C  -0.534  2.141  1.092
C  -0.373  0.886  1.928
C  0.571  -0.140  1.300
O  0.208  -1.266  1.055
N  1.843  0.323  1.143
C  2.891  -0.275  0.448
C  4.065  0.455  0.296
C  5.138  -0.105  -0.382
C  5.067  -1.383  -0.923
C  3.894  -2.099  -0.768
C  2.816  -1.561  -0.087
H  1.906  -2.125  0.027
H  3.817  -3.092  -1.182
H  5.919  -1.786  -1.447
N  6.349  0.663  -0.522
O  7.264  0.166  -1.142
O  6.384  1.760  -0.005
H  4.163  1.456  0.691
H  2.011  1.289  1.385
H  -1.340  0.392  2.041
H  -0.002  1.139  2.926
H  -1.373  2.747  1.424
H  0.359  2.762  1.058
H  -3.588  2.393  -0.344
H  -5.661  1.031  -0.206
H  -6.681  -1.144  0.107
H  -5.698  -2.617  0.055
H  -6.238  -1.862  -1.440

---

Density functional theory data (ωB97M-V with the def2-TZVPD basis set) for one molecule with the formula C16H16N2O6 at a distorted geometry.
********
the boy is at the theatre watching his Dawn of the Dead DVD on the fancy schmancy digital projector, but as i had seen that three too many times (3 being the number of times i have seen it), i decided to come home and mess around with you. thanks, SG.
(Records of molecules that have nothing to do with the piece)
The following is a DFT calculation (ωB97M-V with the def2-TZVPD basis set) of the molecule C15H16OS2 at a distorted geometry.

Properties
SMILES = C[C@@]12CCC3=C(SCc4sccc43)C1=CC[C@H]2O
LUMO = 0.262 eV

CARTESIAN COORDINATES (ANGSTROEM)
C 2.7145 -2.4888 -1.1341
C 1.1966 -0.7758 1.0224
H -0.8340 2.7568 -1.4063
H 3.9781 -3.8246 -2.0848
H -0.9766 -1.6372 -3.0171
H -2.7282 -0.1626 1.1403
C 3.0588 -3.2910 -2.1886
C -1.5307 3.0335 0.7639
S 2.0965 -2.9074 -3.6770
H 0.9407 -1.8256 1.2734
S -0.2916 0.6593 -2.6641
H -1.0219 4.0610 0.9611
C 1.0884 -1.7091 -2.7420
H -2.6446 3.2652 0.6091
H 0.5074 -0.0384 2.9334
C 1.5680 -1.6637 -1.4015
H -0.4766 2.6529 2.5031
H -3.2598 1.7412 2.2943
H 3.2023 -2.4424 -0.1830
H -0.0734 -0.9832 -4.3830
C -0.1491 -1.0582 -3.2852
H 2.2824 -0.6404 1.1923
C -0.8068 0.7943 1.4007
H -1.3764 -1.3132 1.1408
i'll bring some virtual bubble bath.... and fancy lighting of course!
although, i have virtually wandering hands...